Brief:
What is needed: reproduce everything further down verbatim.

Entries:
Density functional theory data (the ωB97M-V functional and the def2-TZVPD basis) for C18H24AsCrN4O6S4SiTe as an isolated structure.

The geometry in XYZ format:
```
60
Properties=species:S:1:pos:R:3:lowdin_charge:R:1
Cr 0.00158 -0.03388 0.46082 -0.09
S 0.33322 4.15747 2.22792 -0.16
As -0.49484 3.09090 0.60450 -0.41
S 1.03546 1.79216 -0.39425 0.16
S -1.62884 1.28638 1.27481 0.15
S -1.55074 4.20675 -0.84428 -0.13
C -2.26392 -3.33962 0.86566 -0.03
C -1.34800 -2.87986 1.95447 -0.32
C -1.27410 -3.56515 3.15836 -0.07
C -0.41538 -3.08705 4.14741 -0.09
C 0.36964 -1.98778 3.91240 -0.04
C 0.29050 -1.36195 2.64492 -0.46
N -0.60358 -1.79399 1.72326 0.07
N 1.02218 -0.34034 2.17498 -0.18
Si 2.35849 0.37030 3.03603 0.38
C 1.77586 1.15078 4.63540 -0.17
C 3.61791 -1.00119 3.41104 -0.17
C 3.27377 1.70485 2.12268 -0.21
H -2.65799 -4.33236 1.08948 0.07
H -1.74047 -3.35753 -0.08981 0.08
H -3.08241 -2.63750 0.72876 0.08
H -1.88219 -4.44571 3.31597 0.09
H -0.36266 -3.58957 5.10770 0.10
H 1.04023 -1.60514 4.66686 0.07
H 1.32319 0.45676 5.34574 0.01
H 1.03477 1.91036 4.36771 0.01
H 2.60833 1.65683 5.13391 0.03
H 3.27882 -1.69951 4.17867 0.01
H 4.55990 -0.56031 3.75014 0.02
H 3.82614 -1.58413 2.50837 0.01
H 2.64638 2.59816 2.06308 -0.04
H 3.57600 1.45210 1.10997 -0.01
H 4.16859 1.94002 2.71220 0.03
O -3.04369 -1.26859 -1.26417 0.06
C -2.12283 -0.55298 -1.61195 -0.58
O -0.91653 -0.50109 -1.17076 -0.28
C -2.34744 0.45550 -2.73384 -0.07
C -3.48775 0.36754 -3.51225 0.07
C -3.69787 1.30776 -4.50895 -0.13
C -2.81018 2.33923 -4.74443 0.07
C -1.68398 2.39866 -3.94915 -0.13
C -1.43260 1.49024 -2.93549 0.04
N -0.70056 3.46485 -4.23114 -0.36
O -1.03058 4.33671 -5.01986 0.04
O 0.37206 3.39481 -3.68785 0.07
N -4.89566 1.20686 -5.35571 -0.36
O -5.64596 0.26747 -5.17322 0.06
O -5.06923 2.05631 -6.20972 0.05
H -4.20358 -0.41979 -3.32584 0.13
H -2.98144 3.06730 -5.52053 0.12
H -0.56353 1.59640 -2.28768 0.03
C 3.72134 -0.54651 -0.84247 -0.44
Te 1.98482 -1.75445 -0.63706 1.29
C 1.50169 -1.58708 -2.70045 -0.42
H 3.39905 0.45622 -1.11895 -0.03
H 4.37435 -0.98128 -1.59643 0.00
H 4.23066 -0.51869 0.11776 -0.02
H 1.42682 -0.52396 -2.92680 0.01
H 0.52907 -2.04949 -2.84477 0.00
H 2.25772 -2.07317 -3.31317 -0.01
```

Computed properties:
Total charge: -2
HOMO-LUMO gap (spin up / spin down) (eV): 5.29 / 5.30
E_tot (eV): -185074.8404
LUMO level (spin up / spin down) (eV): 3.5805 / 3.5819
Multiplicity: 2
Energy relative to the best compared isomer or geometry (same formula, charge and spin) (kcal per mole): 0.00
Expectation value of S²: 0.77

***

Density functional theory data (the ωB97M-V functional and the def2-TZVPD basis) for a 4-piece molecular cluster, C18H24BClNOP overall.

The geometry in XYZ format:
```
47
Properties=species:S:1:pos:R:3:lowdin_charge:R:1
N -3.41585 2.20330 -5.13628 0.11
B -2.26215 1.30798 -4.94817 -0.71
O -2.48177 0.10247 -4.23268 0.06
P -0.46754 1.60843 -5.63663 0.50
Cl 1.53303 1.81578 -6.51735 -0.01
H -3.94246 1.95129 -5.96045 0.07
H -4.05491 1.99441 -4.38052 0.06
H -1.71905 -0.07033 -3.69055 0.04
H -0.86361 1.04144 -6.89303 -0.01
H -0.46637 2.99791 -5.35861 -0.02
H 0.10003 0.75242 -4.65184 -0.05
C 3.80909 -1.08329 -1.36743 -0.10
C 2.92741 -0.04253 -1.62710 -0.10
C 2.47917 0.18032 -2.92275 -0.11
C 2.91216 -0.63569 -3.96043 -0.10
C 3.80130 -1.67037 -3.70086 -0.09
C 4.24822 -1.89546 -2.40513 -0.10
H 4.15627 -1.25967 -0.35772 0.10
H 2.59238 0.59726 -0.82027 0.10
H 1.79587 0.99574 -3.12541 0.08
H 2.56448 -0.45820 -4.96989 0.06
H 4.14560 -2.30220 -4.50905 0.10
H 4.93963 -2.70325 -2.20363 0.10
C -1.45924 -0.17415 1.80518 -0.09
C -2.70446 0.44049 1.77351 -0.09
C -3.16773 1.01344 0.59663 -0.09
C -2.38327 0.97421 -0.54824 -0.09
C -1.13464 0.36609 -0.51412 -0.09
C -0.67278 -0.20990 0.66148 -0.09
H -1.10114 -0.62528 2.72163 0.08
H -3.31502 0.47230 2.66674 0.10
H -4.13921 1.48930 0.57130 0.10
H -2.74441 1.41767 -1.46748 0.09
H -0.51762 0.34027 -1.40501 0.08
H 0.29901 -0.68567 0.68677 0.10
C -0.62704 0.34009 7.00160 -0.09
C -0.91057 -0.46392 5.90566 -0.10

Result:
Density functional theory data (the ωB97M-V functional and the def2-TZVPD basis) for C18H24AsCrN4O6S4SiTe as an isolated structure.

The geometry in XYZ format:
```
60
Properties=species:S:1:pos:R:3:lowdin_charge:R:1
Cr 0.00158 -0.03388 0.46082 -0.09
S 0.33322 4.15747 2.22792 -0.16
As -0.49484 3.09090 0.60450 -0.41
S 1.03546 1.79216 -0.39425 0.16
S -1.62884 1.28638 1.27481 0.15
S -1.55074 4.20675 -0.84428 -0.13
C -2.26392 -3.33962 0.86566 -0.03
C -1.34800 -2.87986 1.95447 -0.32
C -1.27410 -3.56515 3.15836 -0.07
C -0.41538 -3.08705 4.14741 -0.09
C 0.36964 -1.98778 3.91240 -0.04
C 0.29050 -1.36195 2.64492 -0.46
N -0.60358 -1.79399 1.72326 0.07
N 1.02218 -0.34034 2.17498 -0.18
Si 2.35849 0.37030 3.03603 0.38
C 1.77586 1.15078 4.63540 -0.17
C 3.61791 -1.00119 3.41104 -0.17
C 3.27377 1.70485 2.12268 -0.21
H -2.65799 -4.33236 1.08948 0.07
H -1.74047 -3.35753 -0.08981 0.08
H -3.08241 -2.63750 0.72876 0.08
H -1.88219 -4.44571 3.31597 0.09
H -0.36266 -3.58957 5.10770 0.10
H 1.04023 -1.60514 4.66686 0.07
H 1.32319 0.45676 5.34574 0.01
H 1.03477 1.91036 4.36771 0.01
H 2.60833 1.65683 5.13391 0.03
H 3.27882 -1.69951 4.17867 0.01
H 4.55990 -0.56031 3.75014 0.02
H 3.82614 -1.58413 2.50837 0.01
H 2.64638 2.59816 2.06308 -0.04
H 3.57600 1.45210 1.10997 -0.01
H 4.16859 1.94002 2.71220 0.03
O -3.04369 -1.26859 -1.26417 0.06
C -2.12283 -0.55298 -1.61195 -0.58
O -0.91653 -0.50109 -1.17076 -0.28
C -2.34744 0.45550 -2.73384 -0.07
C -3.48775 0.36754 -3.51225 0.07
C -3.69787 1.30776 -4.50895 -0.13
C -2.81018 2.33923 -4.74443 0.07
C -1.68398 2.39866 -3.94915 -0.13
C -1.43260 1.49024 -2.93549 0.04
N -0.70056 3.46485 -4.23114 -0.36
O -1.03058 4.33671 -5.01986 0.04
O 0.37206 3.39481 -3.68785 0.07
N -4.89566 1.20686 -5.35571 -0.36
O -5.64596 0.26747 -5.17322 0.06
O -5.06923 2.05631 -6.20972 0.05
H -4.20358 -0.41979 -3.32584 0.13
H -2.98144 3.06730 -5.52053 0.12
H -0.56353 1.59640 -2.28768 0.03
C 3.72134 -0.54651 -0.84247 -0.44
Te 1.98482 -1.75445 -0.63706 1.29
C 1.50169 -1.58708 -2.70045 -0.42
H 3.39905 0.45622 -1.11895 -0.03
H 4.37435 -0.98128 -1.59643 0.00
H 4.23066 -0.51869 0.11776 -0.02
H 1.42682 -0.52396 -2.92680 0.01
H 0.52907 -2.04949 -2.84477 0.00
H 2.25772 -2.07317 -3.31317 -0.01
```

Computed properties:
Total charge: -2
HOMO-LUMO gap (spin up / spin down) (eV): 5.29 / 5.30
E_tot (eV): -185074.8404
LUMO level (spin up / spin down) (eV): 3.5805 / 3.5819
Multiplicity: 2
Energy relative to the best compared isomer or geometry (same formula, charge and spin) (kcal per mole): 0.00
Expectation value of S²: 0.77

***

Density functional theory data (the ωB97M-V functional and the def2-TZVPD basis) for a 4-piece molecular cluster, C18H24BClNOP overall.

The geometry in XYZ format:
```
47
Properties=species:S:1:pos:R:3:lowdin_charge:R:1
N -3.41585 2.20330 -5.13628 0.11
B -2.26215 1.30798 -4.94817 -0.71
O -2.48177 0.10247 -4.23268 0.06
P -0.46754 1.60843 -5.63663 0.50
Cl 1.53303 1.81578 -6.51735 -0.01
H -3.94246 1.95129 -5.96045 0.07
H -4.05491 1.99441 -4.38052 0.06
H -1.71905 -0.07033 -3.69055 0.04
H -0.86361 1.04144 -6.89303 -0.01
H -0.46637 2.99791 -5.35861 -0.02
H 0.10003 0.75242 -4.65184 -0.05
C 3.80909 -1.08329 -1.36743 -0.10
C 2.92741 -0.04253 -1.62710 -0.10
C 2.47917 0.18032 -2.92275 -0.11
C 2.91216 -0.63569 -3.96043 -0.10
C 3.80130 -1.67037 -3.70086 -0.09
C 4.24822 -1.89546 -2.40513 -0.10
H 4.15627 -1.25967 -0.35772 0.10
H 2.59238 0.59726 -0.82027 0.10
H 1.79587 0.99574 -3.12541 0.08
H 2.56448 -0.45820 -4.96989 0.06
H 4.14560 -2.30220 -4.50905 0.10
H 4.93963 -2.70325 -2.20363 0.10
C -1.45924 -0.17415 1.80518 -0.09
C -2.70446 0.44049 1.77351 -0.09
C -3.16773 1.01344 0.59663 -0.09
C -2.38327 0.97421 -0.54824 -0.09
C -1.13464 0.36609 -0.51412 -0.09
C -0.67278 -0.20990 0.66148 -0.09
H -1.10114 -0.62528 2.72163 0.08
H -3.31502 0.47230 2.66674 0.10
H -4.13921 1.48930 0.57130 0.10
H -2.74441 1.41767 -1.46748 0.09
H -0.51762 0.34027 -1.40501 0.08
H 0.29901 -0.68567 0.68677 0.10
C -0.62704 0.34009 7.00160 -0.09
C -0.91057 -0.46392 5.90566 -0.10